LYNNWOOD H.S. Senior Project 2013
Introduction Senior Project Coordinator- Mrs. Malowney/Mrs. Armstrong Required for graduation All full-time LHS students must complete in English 12 to graduate (except AP). See counselor if you are Running Start. If you are in English 12 (except AP) you will be doing the LHS Senior Project. Purpose Demonstration of your learning Chance to extend or enrich learning Step toward being a lifelong learner Excellent preparation for workplace
The 5 Phases of Senior Project Approval(mid-May 2012—end of first semester 2012) Research and applied learning (approval-presentation) Portfolio (mid-April 2013) Presentation (April, 2013) Reflective essay (May, 2013)
Approval Must receive approval to count hours/work over summer. To get approved, turn in the following: Senior Project Approval Contract signed by teacher, parent and you Senior Project Approval Contract Proposed timeline of work to be completed—see timeline template and guidelines Turn in to SE 223 or Mrs. Malowney’s mailbox by due date listed on Approval Contract and digital copy of Approval Contract to Digital Approval Contract available on SP SWIFT site.
Senior Project Approval Contract Fill out completely Obtain all signatures Do not staple, doodle or punch holes in any SP forms Turn in WITH completed timeline and digital form Allow two days for grading Papers returned via English teacher Incomplete or incorrectly completed forms will not be accepted and will be returned without grading.
Timeline See timeline template and timeline guidelinestimeline template guidelines Must be in proper format per guidelines Download template from SP SWIFT site Turn in WITH SP Approval Contract Do not staple or punch holes. Turn in together in a folder or paper clipped. Allow two days for grading turnaround. All items will be kept together through the revision process.
Summer Approval Summer Work: Might include volunteering, lessons, internships, job shadows, interviews, etc. Keep track of hours Keep track of sources used Take pictures and video of all parts of the process Complete as many hands on hours as possible
Research and Applied Learning Complete work outlined in the guidelines and your proposal/introduction Complete at least 60 hours of work, 40 hours of which will be hands-on (volunteering, making a product, interning, lessons, etc.) Complete and fill in Mentor Documentation Form as you go. Research paper: Will be completed in English 12 next fall. If you want to work on it over summer, get topic approved by end of this school year. (Malowney or Eng 12 teacher) Keep track of resources used for bibliography Prepare your portfolio using the Senior Project Guidelines I will visit Senior classes in the fall with more info.
-- begin --
Below is a 2-piece molecular cluster, C35H29N2 overall, with properties calculated with wB97M-V/def2-TZVPD.

```
! RIJCOSX wB97M-V def2-TZVPD def2/J DEFGRID3
* xyz 1 1
C 4.57 0.06 -4.11
C 4.90 -0.71 -2.99
C 3.95 -1.57 -2.43
C 2.68 -1.67 -2.98
C 1.65 -2.63 -2.40
N 0.41 -2.01 -1.97
C -0.85 -2.19 -2.68
C -1.79 -1.33 -1.85
N -0.96 -0.60 -0.90
C 0.25 -1.09 -0.98
C 1.40 -0.78 -0.10
C 1.97 -1.83 0.63
C 3.07 -1.56 1.45
C 3.55 -0.25 1.55
C 2.98 0.78 0.81
C 1.87 0.53 0.00
C 2.34 -0.91 -4.11
C 3.29 -0.04 -4.66
H 5.30 0.73 -4.55
H 5.90 -0.66 -2.56
H 4.20 -2.16 -1.54
H 1.39 -3.38 -3.15
H 2.09 -3.15 -1.54
H -0.76 -1.82 -3.71
H -1.15 -3.24 -2.71
H -2.38 -0.63 -2.46
H -2.49 -1.98 -1.30
H 1.54 -2.83 0.59
H 3.53 -2.37 2.01
H 4.39 -0.04 2.22
H 3.36 1.80 0.89
H 1.36 1.32 -0.54
H 1.35 -1.00 -4.54
H 3.02 0.54 -5.54
C -1.99 0.80 1.28
C -3.22 0.95 0.55
C -3.24 1.59 -0.71
C -4.44 2.01 -1.27
C -5.65 1.72 -0.63
C -5.65 0.98 0.57
C -4.45 0.61 1.16
C -1.75 -0.15 2.34
C -0.60 0.30 3.09
C -0.28 -0.26 4.31
C -1.08 -1.30 4.80
C -2.17 -1.79 4.05
C -2.50 -1.22 2.82
C -0.12 1.52 2.47
C -0.97 1.82 1.35
C -0.86 3.05 0.72
C 0.14 3.94 1.14
C 0.95 3.64 2.24
C 0.82 2.43 2.93
H -2.29 1.72 -1.24
H -4.43 2.56 -2.21
H -6.60 2.04 -1.07
H -6.59 0.71 1.05
H -4.44 0.10 2.12
H 0.58 0.13 4.87
H -0.84 -1.75 5.77
H -2.78 -2.60 4.45
H -3.34 -1.60 2.23
H -1.57 3.32 -0.05
H 0.27 4.88 0.61
H 1.71 4.36 2.57
H 1.42 2.18 3.81
*
```

Summary:
energy relative to the best compared isomer or geometry (same formula, charge and spin)	0.86	kcal per mole
max |F|	1.789	eV/A
HOMO level	-10.52	eV
E	-39739.5853	eV
orbital gap	5.22	eV
molar mass	477.6	u

Below is one molecule with the formula C6H6Cl2, with properties calculated with wB97M-V/def2-TZVPD.

```
! RIJCOSX wB97M-V def2-TZVPD def2/J DEFGRID3
* xyz 0 1
C -0.92 1.56 -0.55
C -1.49 0.45 -0.88
C -1.16 -0.82 -0.21
Cl -2.60 -1.86 0.04
C 0.02 -1.25 0.23
C 1.45 -0.60 0.06
C 2.05 0.21 1.01
Cl 2.45 -1.63 -0.80
H -0.03 1.87 0.09
H -1.61 2.52 -0.89
H -2.60 0.61 -1.45
H -0.09 -2.25 0.72
H 3.08 0.57 0.81
H 1.46 0.62 1.80
*
```

Summary:
SMILES	C=C/C(Cl)=C\C(=C)Cl
energy relative to the best compared isomer or geometry (same formula, charge and spin)	71.21	kcal per mole
max |F|	6.223	eV/A
HOMO level	-9.27	eV
E	-31360.5392	eV
orbital gap	9.58	eV
molar mass	149.0	u

Below is C12H6Br2Cl3I2NO3Re as an isolated structure, with properties calculated with wB97M-V/def2-TZVPD.

```
! RIJCOSX wB97M-V def2-TZVPD def2/J DEFGRID3
* xyz 2 4
Re 0.64 0.30 -1.02
Br 4.68 0.35 -1.58
C 3.88 1.32 -3.03
Br 1.90 1.45 -2.91
H 4.08 0.80 -3.97
H 4.25 2.34 -3.03
I -2.65 4.32 -0.83
C -2.55 2.63 0.40
C -3.42 2.44 1.47
C -3.32 1.34 2.31
I -4.69 1.15 3.88
C -2.29 0.36 2.11
C -2.01 -0.73 2.94
C -0.93 -1.54 2.63
C -0.17 -1.30 1.49
N -0.42 -0.28 0.67
C -1.45 0.55 0.99
C -1.57 1.67 0.12
O -0.72 1.72 -0.86
H -4.18 3.18 1.66
H -2.61 -0.93 3.81
H -0.66 -2.36 3.27
H 0.67 -1.94 1.24
Cl 1.38 -4.34 -2.31
C 1.72 -2.65 -2.21
Cl 2.74 -2.06 -3.49
Cl 0.13 -1.70 -2.23
C 2.41 -2.17 -0.78
O 3.03 -2.98 -0.17
-- stop --
Portfolio Follows Senior Project Guidelines Must be turned in to English 12 teacher for portfolio checks throughout first semester (significant part of Eng 12 grade!!!) Completed second week of April Reviewed and signed of by Eng 12 teacher and panel of judges. Required for all projects Must meet standard (must be revised until it does) Must be revised one week prior to presenting to be allowed to present.
Next to the entry, the page also holds calculated molecules:
=====
Record 1
C46H52F21NO3S | ωB97M-V/def2-TZVPD

```
! RIJCOSX wB97M-V def2-TZVPD def2/J DEFGRID3
* xyz 0 1
C 6.974 0.753 -0.321
O 6.662 0.350 -1.722
C 5.894 1.437 -2.391
C 6.502 1.644 -3.900
C 5.405 2.084 -5.037
C 4.772 0.726 -5.715
C 3.147 0.763 -5.941
C 2.299 1.265 -4.601
C 1.705 2.768 -4.881
C 1.992 3.862 -3.693
C 1.937 3.262 -2.168
C 1.488 4.335 -1.012
C 0.056 5.087 -1.276
C -1.159 3.991 -1.022
C -1.444 2.918 -2.231
C -2.592 1.761 -2.065
C -3.556 1.577 -0.709
C -3.241 2.687 0.501
C -2.062 3.862 0.340
C -1.812 4.870 1.631
C -1.417 3.964 2.972
C 0.211 3.720 3.130
C 0.540 2.374 4.055
F -0.462 2.200 5.159
F 1.888 2.534 4.704
C 0.587 0.980 3.189
F -0.638 0.150 3.361
F 1.723 0.171 3.769
F 0.921 1.155 1.749
N -4.608 0.494 -0.626
C -4.022 -0.889 -0.969
C -4.282 -2.173 0.041
C -3.593 -3.609 -0.380
C -2.685 -3.838 -1.747
C -2.026 -5.319 -2.017
C -0.418 -5.179 -1.581
C 0.079 -4.330 -0.235
C 1.692 -4.233 0.195
C 2.885 -4.955 -0.702
C 2.407 -5.753 -2.056
C 0.809 -5.865 -2.469
C -2.455 -2.562 -2.797
C -3.131 -1.132 -2.363
S -2.920 0.449 -3.417
H 7.181 -0.173 0.377
H 6.098 1.360 0.188
H 7.947 1.417 -0.340
H 4.766 1.122 -2.349
H 6.005 2.402 -1.726
H 6.978 0.629 -4.255
H 7.331 2.489 -3.832
H 6.016 2.632 -5.901
H 4.601 2.859 -4.674
H 5.335 0.542 -6.750
H 5.075 -0.206 -5.036
H 2.816 -0.363 -6.160
H 2.859 1.365 -6.919
H 3.056 1.220 -3.709
H 1.421 0.466 -4.477
H 2.270 3.173 -5.850
H 0.563 2.697 -5.203
H 3.098 4.263 -3.865
H 1.277 4.777 -3.891
H 3.039 2.902 -1.899
H 1.281 2.271 -2.184
H 1.362 3.704 -0.008
H 2.392 5.077 -0.787
H -0.008 5.971 -0.477
H -0.084 5.521 -2.358
H -0.799 3.001 -3.218
H -3.863 2.638 1.503
H -0.959 5.659 1.460
H -2.799 5.442 1.895
H -1.900 2.880 2.944
H -1.793 4.463 3.965
H 0.728 3.687 2.079
H 0.645 4.633 3.763
H -5.305 0.744 -1.391
H -4.908 -1.980 1.018
H -3.774 -4.518 0.358
H -2.502 -6.056 -1.243
H -2.058 -5.679 -3.130
H -0.674 -3.800 0.495
H 2.061 -3.659 1.164
H 4.030 -4.909 -0.466
H 3.205 -6.260 -2.747
H 0.462 -6.460 -3.430
H -1.825 -2.634 -3.781
C -7.626 -8.032 -3.392
C -6.616 -7.308 -4.295
C -5.209 -7.895 -4.287
F -4.636 -7.852 -3.060
F -4.391 -7.187 -5.112
F -6.603 -5.985 -3.979
F -7.099 -7.377 -5.576
O -7.844 -7.456 -2.101
C -6.903 -7.835 -1.098
C -6.074 -6.651 -0.583
F -5.385 -6.049 -1.586
F -5.151 -7.058 0.329
F -6.141 -8.853 -1.563
F -7.639 -8.356 -0.078
H -8.601 -7.950 -3.890
H -7.441 -9.111 -3.334
H -5.210 -8.932 -4.634
H -6.713 -5.897 -0.115
C 1.626 3.464 7.747
C 2.295 4.842 7.857
C 3.488 4.905 8.805
F 3.151 4.605 10.083
F 4.008 6.162 8.836
F 1.355 5.770 8.180
F 2.731 5.179 6.602
O 0.463 3.261 8.555
C 0.717 2.864 9.902
C 0.246 3.904 10.926
F 0.845 5.105 10.733
F 0.554 3.518 12.194
F 2.027 2.546 10.033
F 0.032 1.701 10.079
H 1.256 3.380 6.717
H 2.342 2.639 7.846
H 4.283 4.226 8.488
H -0.836 4.054 10.865
*
```

Results
Lowest unoccupied orbital energy: -0.14 eV
Energy relative to the best compared isomer or geometry (same formula, charge and spin): 2817.1 kJ/mol
Calculated total energy: -4558.65137 a.u.
=====
Contacting Mrs. Malowney SE 223 X5236 Friend Lhs Seniorproject on Facebook Senior Project SWIFT site Access through LHS website Find Malowney under staff link and click on Senior Project SWIFT site
+++
# 1
{
  "formula": "C28H46AuGeN7O3Se",
  "method": "ωB97M-V/def2-TZVPD",
  "multiplicity": 4,
  "s_squared": 3.781,
  "charge": 3,
  "species": ["Au", "C", "C", "C", "C", "O", "Ge", "O", "C", "C", "C", "C", "O", "C", "C", "C", "C", "H", "H", "H", "H", "H", "H", "H", "H", "H", "H", "H", "H", "H", "H", "H", "H", "H", "H", "H", "H", "H", "H", "H", "H", "H", "H", "H", "C", "C", "N", "C", "C", "N", "C", "N", "N", "N", "C", "C", "C", "C", "C", "C", "H", "H", "H", "H", "H", "H", "H", "H", "H", "H", "H", "C", "N", "C", "C", "N", "C", "C", "Se", "H", "H", "H", "H", "H", "H", "H", "H"],
  "xyz": [[0.9699, 1.0917, -0.8864], [0.0947, 1.5329, 3.7627], [-0.1384, 2.9532, 3.2714], [0.8200, 3.9281, 3.9410], [-1.5812, 3.3851, 3.4530], [0.1156, 2.9323, 1.8323], [1.3222, 3.5466, 0.7693], [2.4094, 2.0478, 0.5483], [3.8609, 2.1442, 0.2867], [4.2486, 3.6109, 0.1596], [4.5626, 1.4912, 1.4684], [4.1699, 1.3976, -1.0056], [0.4832, 3.0607, -0.7965], [0.1355, 3.9571, -1.9318], [-0.0446, 5.3492, -1.3512], [-1.1626, 3.4258, -2.5096], [1.2632, 3.9115, -2.9448], [-0.1474, 1.4622, 4.8220], [1.1398, 1.2462, 3.6276], [-0.5357, 0.8334, 3.2076], [0.6549, 3.9374, 5.0171], [0.6615, 4.9411, 3.5645], [1.8582, 3.6330, 3.7599], [-1.8588, 3.3121, 4.5034], [-2.2451, 2.7495, 2.8635], [-1.7204, 4.4179, 3.1323], [4.0396, 4.1528, 1.0888], [3.7137, 4.0882, -0.6693], [5.3146, 3.7073, -0.0385], [4.2964, 1.9878, 2.4027], [5.6407, 1.5672, 1.3338], [4.2989, 0.4360, 1.5431], [3.6283, 1.8442, -1.8462], [3.8974, 0.3445, -0.9128], [5.2357, 1.4562, -1.2185], [-0.8013, 5.3545, -0.5629], [-0.3614, 6.0422, -2.1288], [0.9017, 5.7340, -0.9517], [-1.9255, 3.3568, -1.7324], [-1.0142, 2.4353, -2.9513], [-1.5236, 4.0929, -3.2904], [2.2055, 4.2375, -2.4992], [1.0411, 4.5754, -3.7789], [1.3951, 2.9017, -3.3440], [0.9725, -1.6753, -3.0889], [1.3928, -1.8298, -1.6712], [1.4430, -0.8555, -0.7616], [1.9219, -1.3942, 0.4271], [2.1416, -2.7091, 0.2224], [1.8097, -2.9617, -1.0946], [1.9105, -4.3011, -1.7148], [1.3644, -5.2696, -0.8369], [2.1819, -6.2232, -0.2707], [1.4843, -6.9775, 0.4684], [0.1622, -6.5510, 0.4247], [-0.9698, -7.0612, 1.0601], [-2.1649, -6.4181, 0.8238], [-2.2350, -5.2922, -0.0192], [-1.1216, -4.7763, -0.6523], [0.0795, -5.4476, -0.4147], [0.4878, -0.7092, -3.2294], [0.2762, -2.4588, -3.3865], [1.8325, -1.7221, -3.7588], [2.0427, -0.8003, 1.3164], [2.5106, -3.4811, 0.8769], [2.9573, -4.5526, -1.8765], [1.3898, -4.2849, -2.6710], [-0.9019, -7.9327, 1.6967], [-3.0698, -6.7888, 1.2852], [-3.2009, -4.8289, -0.1856], [-1.1835, -3.9097, -1.3008], [-4.5205, -0.9430, -2.7598], [-4.6837, -1.4049, -1.3762], [-5.6174, -2.2867, -0.9635], [-5.4758, -2.4268, 0.3994], [-4.4618, -1.6251, 0.7834], [-4.0060, -1.4514, 2.1683], [-3.9535, -0.9814, -0.3052], [-2.5861, 0.2301, -0.3050], [-5.3594, -1.3116, -3.3418], [-3.5915, -1.3296, -3.1710], [-4.5121, 0.1426, -2.7822], [-6.3215, -2.7479, -1.6364], [-6.0372, -3.0293, 1.0944], [-4.7212, -1.9392, 2.8234], [-3.9598, -0.3921, 2.4033], [-3.0251, -1.9046, 2.2925]],
+++
== So much for the quantum chemistry results ==
Presentation Must be at least minutes in length Must follow provided format and include all items in the presentation outline you will be given Judged by a panel of teachers/community members with knowledge of your field You will also be asked questions at the end and must answer knowledgably. Must receive standard from all judges to pass and graduate. Will be scheduled for teacher work day in mid-April or early May. You will have the opportunity to present early in January.
Reflective Essay After successful completion of presentation Must meet standards for reflective writing Must have a formal introduction, body and conclusion Must be typed and free of errors Should reflect on the process of completing your project and what you learned. Due April 2013
Yearbook Senior Head shots All senior head shots for the LHS yearbook will be taken by Yuen Lui. Class of 2013 students will need to visit a Yuen Lui studio by September 30 to receive their FREE head shot. 12 convenient locations in DowntownSeattle, Roosevelt-Seattle, Bellevue, Redmond, Everett, Lynnwood, Kent, Tacoma, Portland, Beaverton, Clackamas, and Costa Mesa-Orange County. See Yuen Lui table tonight for more information. Photos from other photographers may not be submitted for the senior section but may be included as part of a dedication ad. See ASB office for order form in the fall. No purchase is necessary but packages are available from Yuen Lui as well. Indoor and outdoor options are available for the yearbook head shot. Letters will go home early June.
Yearbook Premiere June 1, 4 th period in Aux. Gym Pay off yearbook deposits by May 24 or lose deposit and book sold to someone else on waiting list Get on waiting list if you didn’t pre-order a book. No extras and cannot order more. Premiere will have lots of prizes, food to purchase, and you can pick up your book early. Tickets are $2 w/ASB in ASB office and $3 w/out if you get them ahead of time. They are $3 at the door June 1.